Source:
~~~
# 1
Material: LiGdAu2
Method: DFT, GGA-PBE
State: optimized geometry

Energy of formation from the pure elements   -710 meV per atom
Energy relative to the lowest polymorph listed for this composition   0.0 meV/atom
Electronic total energy   -6.3475 eV per atom
Total moment   1.804 μB per atom

Unit cell a=4.5974 b=4.5974 c=13.6872 alpha=90.00 beta=90.00 gamma=120.00
With the nearest neighbours (Å) after each atom.
Space group R-3m (No. 166, hexagonal axes)
Inequivalent atoms, fractional coordinates:
Li (0.0000, 0.0000, 0.0000) [3 per cell]  6 Au 2.76
Gd (0.0000, 0.0000, 0.5000) [3 per cell]  8 Au 3.05-3.06
Au (0.0000, 0.0000, 0.2775) [6 per cell]  3 Li 2.76, 4 Gd 3.05-3.06, 3 Au 3.06

=====

# 2
Material: LiGdAu2
Method: DFT, GGA-PBE
State: optimized geometry

Energy of formation from the pure elements   -678 meV per atom
Energy relative to the lowest polymorph listed for this composition   32.6 meV/atom
Electronic total energy   -6.3149 eV per atom
Total moment   1.793 μB per atom

Unit cell a=3.5219 b=3.5219 c=6.5339 alpha=90.00 beta=90.00 gamma=90.00
With the nearest neighbours (Å) after each atom.
Space group P4/mmm (No. 123)
Inequivalent atoms, fractional coordinates:
Li (0.0000, 0.0000, 0.0000) [1 per cell]  8 Au 2.88
Gd (0.0000, 0.0000, 0.5000) [1 per cell]  8 Au 3.09, 2 Li 3.27
Au (0.5000, 0.5000, 0.2199) [2 per cell]  1 Au 2.87, 4 Li 2.88, 4 Gd 3.09

=====

# 3
Material: LiGdAu2
Method: DFT, GGA-PBE
State: optimized geometry

Energy of formation from the pure elements   -636 meV per atom
Energy relative to the lowest polymorph listed for this composition   74.2 meV/atom
Electronic total energy   -6.2732 eV per atom
Total moment   1.804 μB per atom

Unit cell a=4.8170 b=4.8170 c=3.6186 alpha=90.00 beta=90.00 gamma=90.00
With the nearest neighbours (Å) after each atom.
Space group P4/mmm (No. 123)
Inequivalent atoms, fractional coordinates:
Li (0.0000, 0.0000, 0.0000) [1 per cell]  8 Au 3.01
Gd (0.5000, 0.5000, 0.0000) [1 per cell]  8 Au 3.01
Au (0.0000, 0.5000, 0.5000) [2 per cell]  4 Gd 3.01, 4 Li 3.01

=====

> Which value of energy of formation from the pure elements does entry 3 give?

-636 meV per atom

----------

# 1
{"formula": "InSb2Au2", "functional": "PBE-GGA", "state": "optimized geometry", "space_group": "P4/mbm", "rho_g_cm3": 10.29, "de_polymorph_mev_per_atom": 62, "formation_energy_uncorrected_ev_per_atom": 0.104, "vol_a3_per_atom": 24.285, "cell": [[8.6470, 0.0000, 0.0000], [0.0000, 8.6470, 0.0000], [0.0000, 0.0000, 3.2479]], "species": ["In", "In", "Sb", "Sb", "Sb", "Sb", "Au", "Au", "Au", "Au"], "frac_coords": [[0.0000, 0.0000, 0.0000], [0.5000, 0.5000, 0.0000], [0.1472, 0.3528, 0.0000], [0.3528, 0.8528, 0.0000], [0.6472, 0.1472, 0.0000], [0.8528, 0.6472, 0.0000], [0.1555, 0.6555, 0.5000], [0.3445, 0.1555, 0.5000], [0.6555, 0.8445, 0.5000], [0.8445, 0.3445, 0.5000]]}

# 2
{"formula": "Sc2InSbAu", "functional": "PBE-GGA", "state": "optimized geometry", "space_group": "P4/mmm", "rho_g_cm3": 6.02, "formation_energy_uncorrected_ev_per_atom": 0.074, "vol_a3_per_atom": 28.881, "cell": [[5.2177, 0.0000, 0.0000], [0.0000, 5.2177, 0.0000], [0.0000, 0.0000, 5.3044]], "species": ["Sc", "Sc", "In", "Sb", "Au"], "frac_coords": [[0.0000, 0.5000, 0.0000], [0.5000, 0.0000, 0.0000], [0.0000, 0.0000, 0.5000], [0.5000, 0.5000, 0.5000], [0.5000, 0.5000, 0.0000]]}

# 3
{"formula": "InSbAu2Se4", "functional": "PBE-GGA", "state": "optimized geometry", "space_group": "P1", "rho_g_cm3": 6.45, "formation_energy_uncorrected_ev_per_atom": -0.207, "vol_a3_per_atom": 30.435, "cell": [[5.7176, 0.0000, 0.0000], [-2.6224, 6.3687, 0.0000], [-0.0112, -2.3525, 6.6864]], "species": ["In", "Sb", "Au", "Au", "Se", "Se", "Se", "Se"], "frac_coords": [[0.0000, 0.0000, 0.0000], [0.7946, 0.4841, 0.2750], [0.2407, 0.5398, 0.9969], [0.2676, 0.0263, 0.5301], [0.1390, 0.7568, 0.7106], [0.3063, 0.2836, 0.3461], [0.6520, 0.7886, 0.2087], [0.7972, 0.2484, 0.8871]]}

# 4
~~~

To do:
Type out only the lines earlier on with the word "With" in them.

Done:
With the nearest neighbours (Å) after each atom.
With the nearest neighbours (Å) after each atom.
With the nearest neighbours (Å) after each atom.